== Brief ==
Type out the entries further below from the first line to the one with "C59H46NO4P3S2SiTa" verbatim, please.

== Entries ==
{
  "formula": "C59H46NO4P3S2SiTa",
  "method": "ωB97M-V/def2-TZVPD",
  "elements": ["Ta", "S", "S", "P", "P", "P", "Si", "O", "O", "O", "O", "N", "C", "C", "C", "C", "C", "C", "C", "C", "C", "C", "C", "C", "C", "C", "C", "C", "C", "C", "C", "C", "C", "C", "C", "C", "C", "C", "C", "C", "C", "C", "C", "C", "C", "C", "C", "C", "C", "C", "C", "C", "C", "C", "C", "C", "C", "C", "C", "C", "C", "C", "C", "C", "C", "C", "C", "C", "C", "C", "C", "H", "H", "H", "H", "H", "H", "H", "H", "H", "H", "H", "H", "H", "H", "H", "H", "H", "H", "H", "H", "H", "H", "H", "H", "H", "H", "H", "H", "H", "H", "H", "H", "H", "H", "H", "H", "H", "H", "H", "H", "H", "H", "H", "H", "H", "H"],
  "coordinates": [[-0.739, 0.897, -0.269], [-1.290, 3.258, -0.522], [-2.880, -0.305, -0.133], [1.733, 1.446, 0.568], [-0.873, -0.305, 2.336], [-0.636, 0.121, -2.793], [0.571, -1.404, -0.213], [-1.609, 4.628, -0.491], [-1.252, 2.526, 0.870], [-2.165, 2.287, -1.279], [0.069, 2.838, -1.047], [-1.881, -2.457, -1.384], [1.228, 1.747, -4.099], [1.038, -1.941, -1.968], [4.625, -0.979, 2.130], [0.403, -0.202, 6.287], [0.592, -1.191, -3.068], [2.980, -2.352, 1.032], [2.098, -1.339, 5.041], [1.381, -1.132, 3.875], [1.104, 4.900, 2.693], [-4.701, 0.444, 3.633], [1.645, 2.881, -4.779], [4.920, 2.798, -2.493], [0.713, 3.819, -5.195], [3.377, 3.382, -0.738], [-0.118, 1.538, -3.825], [-0.924, -4.841, 1.632], [2.915, 2.072, -0.690], [-0.635, 3.611, -4.939], [-1.949, -3.704, -1.849], [1.882, 2.294, 3.220], [-0.328, -2.606, 0.914], [1.659, 2.685, 1.904], [-1.615, -4.318, 2.722], [2.385, -3.257, -3.506], [1.616, -0.867, 6.256], [4.474, 1.485, -2.440], [-3.376, -1.895, -5.068], [3.895, 0.150, 1.818], [-3.388, 2.443, 3.891], [1.260, 4.002, 1.653], [-0.316, 0.009, 5.114], [-3.029, -4.535, -1.623], [-3.393, 0.265, -3.326], [-4.564, -0.134, -3.954], [3.475, 1.127, -1.549], [1.330, 4.498, 4.006], [-2.387, 0.445, 2.985], [-4.596, 1.772, 4.026], [-1.031, -2.094, 2.011], [-2.204, -1.499, -4.442], [1.718, 3.195, 4.266], [-4.560, -1.214, -4.825], [-1.649, -2.950, 2.924], [-3.601, -0.217, 3.108], [-4.032, -2.748, -0.389], [-2.200, -0.413, -3.571], [-1.052, 2.477, -4.258], [1.063, -1.449, -4.357], [-0.281, -3.993, 0.748], [2.685, 0.018, 1.126], [-2.894, -1.994, -0.680], [-4.091, -4.040, -0.872], [1.957, -2.482, -4.576], [4.369, 3.743, -1.642], [2.221, -1.221, 0.694], [1.940, -2.981, -2.222], [4.159, -2.237, 1.741], [0.172, -0.433, 3.883], [-2.286, 1.782, 3.371], [-1.302, -2.064, -4.626], [-2.106, 2.340, -4.069], [5.554, -0.890, 2.677], [-4.957, -4.656, -0.670], [-3.428, 1.098, -2.639], [0.000, 0.155, 7.224], [-2.110, -4.979, 3.420], [3.033, -1.881, 4.997], [4.262, 1.126, 2.111], [-5.476, -1.527, -5.309], [-3.361, -2.742, -5.740], [2.328, -3.580, -1.410], [-3.702, -1.244, 2.780], [2.173, -1.032, 7.168], [-3.040, -5.538, -2.024], [1.202, 5.200, 4.819], [0.248, -4.423, -0.096], [3.084, -4.066, -3.671], [-3.303, 3.480, 4.185], [1.032, 4.707, -5.725], [1.053, 4.339, 0.646], [-5.481, 0.403, -3.754], [-5.459, 2.284, 4.431], [4.723, -3.124, 1.998], [2.186, 1.284, 3.450], [-0.884, -5.912, 1.480], [1.894, 2.865, 5.281], [5.703, 3.079, -3.185], [4.907, 0.734, -3.089], [-1.256, 0.531, 5.184], [0.796, 5.914, 2.478], [2.698, 3.028, -4.979], [-1.370, 4.333, -5.269], [-1.345, 2.311, 3.275], [1.772, -1.549, 2.960], [-4.842, -2.325, 0.188], [-5.643, -0.078, 3.730], [-1.095, -4.040, -2.427], [0.736, -0.838, -5.190], [4.722, 4.765, -1.664], [2.996, 4.130, -0.059], [2.319, -2.682, -5.576], [2.628, -3.345, 0.777], [-2.142, -2.553, 3.803], [1.963, 1.020, -3.793], [3.164, 0.089, -1.507]],

== Result ==
{
  "formula": "C59H46NO4P3S2SiTa",